_Work order_
Type out the listing further down without additions.

_Source_
┌──
Starting from a GGA-PBE-relaxed structure, the powder XRD pattern of EuGe2Pt2 was simulated for Cu Kα (λ = 1.5418 Å).
Intensities are scaled so that the largest is 1000.

Structural model:
Unit cell a=10.3010 b=4.7231 c=9.3737 alpha=90.00 beta=91.26 gamma=90.00
Atoms (fractional coordinates):
Eu  0.2451  0.2415  0.1298
Eu  0.2451  0.2585  0.6298
Eu  0.7549  0.7415  0.3702
Eu  0.7549  0.7585  0.8702
Ge  0.0006  0.2355  0.3740
Ge  0.0006  0.2645  0.8740
Ge  0.3822  0.6886  0.3915
Ge  0.3822  0.8114  0.8915
Ge  0.6178  0.1886  0.1085
Ge  0.6178  0.3114  0.6085
Ge  0.9994  0.7355  0.1260
Ge  0.9994  0.7645  0.6260
Pt  0.1248  0.7369  0.3789
Pt  0.1248  0.7631  0.8789
Pt  0.4999  0.1763  0.3592
Pt  0.4999  0.3237  0.8592
Pt  0.5001  0.6763  0.1408
Pt  0.5001  0.8237  0.6408
Pt  0.8752  0.2369  0.1211
Pt  0.8752  0.2631  0.6211

Most intense lines, 5° ≤ 2θ ≤ 70°, in order of rising 2θ:
| index | 2θ/deg | I_rel |
| --- | --- | --- |
| 1 1 -2 | 28.06 | 230 |
| 2 1 -2 | 31.80 | 606 |
| 2 1 2 | 32.25 | 1000 |
| 3 0 2 | 32.67 | 275 |
| 0 2 0 | 38.11 | 412 |
| 0 0 4 | 38.42 | 542 |
| 4 1 -2 | 44.15 | 204 |
| 4 1 2 | 44.85 | 184 |
| 3 1 -4 | 50.54 | 268 |
| 0 2 4 | 55.23 | 276 |


1.
The following is a theoretical powder diffraction line list of TaRuAu2. It was derived from a crystal structure in Alexandria, relaxed with GGA-PBE, using Cu Kα, 1.54184 Å.

Crystal structure
Cell: 3.8713 3.8713 8.8427 Å, 90.00 90.00 90.00°
Space group I4/mmm (No. 139)
Inequivalent atoms, fractional coordinates:
Ta (0.0000, 0.0000, 0.0000) (multiplicity 2)
Ru (0.0000, 0.0000, 0.5000) (multiplicity 2)
Au (0.0000, 0.5000, 0.2500) (multiplicity 4)

Main lines, sorted by position (10 to 90 degrees two-theta):
| two_theta | Rel. int. | hkl |
| --- | --- | --- |
| 20.1 | 3 | 0 0 2 |
| 25.1 | 4 | 1 0 1 |
| 38.7 | 100 | 1 1 2 |
| 40.8 | 22 | 0 0 4 |
| 46.9 | 29 | 2 0 0 |
| 63.9 | 23 | 2 0 4 |
| 68.6 | 9 | 2 2 0 |
| 72.9 | 16 | 1 1 6 |
| 81.6 | 24 | 3 1 2 |
| 83.0 | 11 | 2 2 4 |



2.
The following is a theoretical powder diffraction line list of Tb8Ru2Au. It was derived from a crystal structure in Alexandria, relaxed with GGA-PBE, using Cu Kα, 1.54184 Å.

Crystal structure
Cell: 8.6211 12.7542 5.6311 Å, 90.00 105.28 90.00°
Space group C2/m (No. 12)
Inequivalent atoms, fractional coordinates:
Tb (0.0000, 0.2354, 0.0000) (multiplicity 4)
Tb (0.1249, 0.5000, 0.8035) (multiplicity 4)
Tb (0.2001, 0.1307, 0.5932) (multiplicity 8)
Ru (0.0000, 0.3092, 0.5000) (multiplicity 4)
Au (0.0000, 0.0000, 0.0000) (multiplicity 2)

Main lines, sorted by position (10 to 90 degrees two-theta):
| two_theta | Rel. int. | hkl |
| --- | --- | --- |
| 27.0 | 16 | 1 3 -1 |
| 30.3 | 60 | 2 0 1 |
| 32.6 | 100 | 0 4 1 |
| 32.9 | 63 | 3 1 -1 |
| 35.5 | 41 | 2 4 0 |
| 38.8 | 26 | 3 3 0 |
| 39.3 | 27 | 1 5 -1 |
| 53.3 | 21 | 2 4 2 |
| 56.1 | 16 | 4 4 -2 |
| 66.7 | 20 | 2 8 1 |



3.
The following is a theoretical powder diffraction line list of Tc2RuAu. It was derived from a crystal structure in Alexandria, relaxed with GGA-PBE, using Cu Kα, 1.54184 Å.

Crystal structure
Cell: 9.2526 2.8004 4.7617 Å, 90.00 100.36 90.00°
Space group C2/m (No. 12)
Inequivalent atoms, fractional coordinates:
Tc (0.2433, 0.0000, 0.2262) (multiplicity 4)
Ru (0.0000, 0.5000, 0.0000) (multiplicity 2)
Au (0.0000, 0.0000, 0.5000) (multiplicity 2)

Main lines, sorted by position (10 to 90 degrees two-theta):
| two_theta | Rel. int. | hkl |
| --- | --- | --- |
| 19.5 | 7 | 2 0 0 |
| 39.6 | 100 | 4 0 0 |
| 40.0 | 32 | 2 0 -2 |
| 46.0 | 44 | 3 1 -1 |
| 46.7 | 20 | 2 0 2 |
| 67.3 | 13 | 5 1 1 |
| 67.9 | 13 | 1 1 -3 |
| 80.6 | 9 | 4 2 0 |
| 80.8 | 17 | 7 1 -1 |
| 81.2 | 8 | 5 1 -3 |



4.
The following is a theoretical powder diffraction line list of Th4Ru2Au. It was derived from a crystal structure in Alexandria, relaxed with GGA-PBE, using Cu Kα, 1.54184 Å.

Crystal structure
Cell: 12.5826 9.1427 8.6598 Å, 90.00 133.41 90.00°
Space group C2 (No. 5)
Inequivalent atoms, fractional coordinates:
└──

_Done_
Starting from a GGA-PBE-relaxed structure, the powder XRD pattern of EuGe2Pt2 was simulated for Cu Kα (λ = 1.5418 Å).
Intensities are scaled so that the largest is 1000.

Structural model:
Unit cell a=10.3010 b=4.7231 c=9.3737 alpha=90.00 beta=91.26 gamma=90.00
Atoms (fractional coordinates):
Eu  0.2451  0.2415  0.1298
Eu  0.2451  0.2585  0.6298
Eu  0.7549  0.7415  0.3702
Eu  0.7549  0.7585  0.8702
Ge  0.0006  0.2355  0.3740
Ge  0.0006  0.2645  0.8740
Ge  0.3822  0.6886  0.3915
Ge  0.3822  0.8114  0.8915
Ge  0.6178  0.1886  0.1085
Ge  0.6178  0.3114  0.6085
Ge  0.9994  0.7355  0.1260
Ge  0.9994  0.7645  0.6260
Pt  0.1248  0.7369  0.3789
Pt  0.1248  0.7631  0.8789
Pt  0.4999  0.1763  0.3592
Pt  0.4999  0.3237  0.8592
Pt  0.5001  0.6763  0.1408
Pt  0.5001  0.8237  0.6408
Pt  0.8752  0.2369  0.1211
Pt  0.8752  0.2631  0.6211

Most intense lines, 5° ≤ 2θ ≤ 70°, in order of rising 2θ:
| index | 2θ/deg | I_rel |
| --- | --- | --- |
| 1 1 -2 | 28.06 | 230 |
| 2 1 -2 | 31.80 | 606 |
| 2 1 2 | 32.25 | 1000 |
| 3 0 2 | 32.67 | 275 |
| 0 2 0 | 38.11 | 412 |
| 0 0 4 | 38.42 | 542 |
| 4 1 -2 | 44.15 | 204 |
| 4 1 2 | 44.85 | 184 |
| 3 1 -4 | 50.54 | 268 |
| 0 2 4 | 55.23 | 276 |


1.
The following is a theoretical powder diffraction line list of TaRuAu2. It was derived from a crystal structure in Alexandria, relaxed with GGA-PBE, using Cu Kα, 1.54184 Å.

Crystal structure
Cell: 3.8713 3.8713 8.8427 Å, 90.00 90.00 90.00°
Space group I4/mmm (No. 139)
Inequivalent atoms, fractional coordinates:
Ta (0.0000, 0.0000, 0.0000) (multiplicity 2)
Ru (0.0000, 0.0000, 0.5000) (multiplicity 2)
Au (0.0000, 0.5000, 0.2500) (multiplicity 4)

Main lines, sorted by position (10 to 90 degrees two-theta):
| two_theta | Rel. int. | hkl |
| --- | --- | --- |
| 20.1 | 3 | 0 0 2 |
| 25.1 | 4 | 1 0 1 |
| 38.7 | 100 | 1 1 2 |
| 40.8 | 22 | 0 0 4 |
| 46.9 | 29 | 2 0 0 |
| 63.9 | 23 | 2 0 4 |
| 68.6 | 9 | 2 2 0 |
| 72.9 | 16 | 1 1 6 |
| 81.6 | 24 | 3 1 2 |
| 83.0 | 11 | 2 2 4 |



2.
The following is a theoretical powder diffraction line list of Tb8Ru2Au. It was derived from a crystal structure in Alexandria, relaxed with GGA-PBE, using Cu Kα, 1.54184 Å.

Crystal structure
Cell: 8.6211 12.7542 5.6311 Å, 90.00 105.28 90.00°
Space group C2/m (No. 12)
Inequivalent atoms, fractional coordinates:
Tb (0.0000, 0.2354, 0.0000) (multiplicity 4)
Tb (0.1249, 0.5000, 0.8035) (multiplicity 4)
Tb (0.2001, 0.1307, 0.5932) (multiplicity 8)
Ru (0.0000, 0.3092, 0.5000) (multiplicity 4)
Au (0.0000, 0.0000, 0.0000) (multiplicity 2)

Main lines, sorted by position (10 to 90 degrees two-theta):
| two_theta | Rel. int. | hkl |
| --- | --- | --- |
| 27.0 | 16 | 1 3 -1 |
| 30.3 | 60 | 2 0 1 |
| 32.6 | 100 | 0 4 1 |
| 32.9 | 63 | 3 1 -1 |
| 35.5 | 41 | 2 4 0 |
| 38.8 | 26 | 3 3 0 |
| 39.3 | 27 | 1 5 -1 |
| 53.3 | 21 | 2 4 2 |
| 56.1 | 16 | 4 4 -2 |
| 66.7 | 20 | 2 8 1 |



3.
The following is a theoretical powder diffraction line list of Tc2RuAu. It was derived from a crystal structure in Alexandria, relaxed with GGA-PBE, using Cu Kα, 1.54184 Å.

Crystal structure
Cell: 9.2526 2.8004 4.7617 Å, 90.00 100.36 90.00°
Space group C2/m (No. 12)
Inequivalent atoms, fractional coordinates:
Tc (0.2433, 0.0000, 0.2262) (multiplicity 4)
Ru (0.0000, 0.5000, 0.0000) (multiplicity 2)
Au (0.0000, 0.0000, 0.5000) (multiplicity 2)

Main lines, sorted by position (10 to 90 degrees two-theta):
| two_theta | Rel. int. | hkl |
| --- | --- | --- |
| 19.5 | 7 | 2 0 0 |
| 39.6 | 100 | 4 0 0 |
| 40.0 | 32 | 2 0 -2 |
| 46.0 | 44 | 3 1 -1 |
| 46.7 | 20 | 2 0 2 |
| 67.3 | 13 | 5 1 1 |
| 67.9 | 13 | 1 1 -3 |
| 80.6 | 9 | 4 2 0 |
| 80.8 | 17 | 7 1 -1 |
| 81.2 | 8 | 5 1 -3 |



4.
The following is a theoretical powder diffraction line list of Th4Ru2Au. It was derived from a crystal structure in Alexandria, relaxed with GGA-PBE, using Cu Kα, 1.54184 Å.

Crystal structure
Cell: 12.5826 9.1427 8.6598 Å, 90.00 133.41 90.00°
Space group C2 (No. 5)
Inequivalent atoms, fractional coordinates: